5 Years Later: Avengers Endgame’s Big Mistake


5 Years Later, Avengers: Endgame’s Time Jump Is Still Its Biggest Mistake

The Impact of Avengers: Endgame’s Time Jump on the MCU

Reflecting on the Past 5 Years

In 2024, the Marvel Cinematic Universe has undergone significant changes since the release of Avengers: Endgame in 2019. While there have been enjoyable entries like Spider-Man: No Way Home, Guardians Vol. 3, and Loki, the overall quality of Marvel’s output has faced criticism. The franchise, once considered impervious, now grapples with challenges such as mediocre projects and concerns over VFX artists’ working conditions.

The Bold Decision of the Time Jump

Avengers: Endgame’s pivotal moment, the five-year time jump, injected both weight and depth into the film. The aftermath of Thanos’ snap showcased the heroes grappling with loss and failure, allowing for a nuanced exploration of grief and redemption. The decision to age the characters and emphasize their struggles added layers to the narrative, making the eventual triumph more poignant.

Unresolved World-Building Issues

However, the time jump’s ripple effects on the wider MCU universe present challenges in terms of continuity and world-building. The abrupt restoration after the snap fails to address the profound societal and geopolitical changes that such an event would entail. Subsequent projects struggle to convincingly depict the post-Endgame world, opting instead for personal narratives over addressing global ramifications.

5 Years Later: Avengers Endgame’s Big Mistake

The Dilemma of Narrative Integrity

Marvel’s dilemma lies in maintaining narrative coherence while exploring new storylines and characters. Balancing the legacy of the Infinity Saga with the need for fresh narratives is a delicate tightrope walk. The time jump, while effective for a conclusion, poses hurdles for continuing the franchise seamlessly, leading to inconsistencies that affect audience engagement and investment.

Lessons Learned and Future Prospects

These records of molecules were left in the page by mistake:
'''
1.
C3H6N2S3 | wB97M-V/def2-TZVPD

Its max |F| is 3.7 eV/A. The calculation puts the HOMO energy at -8.669 eV. The structure (SMILES) is S=CNSN/C=C\S. The value obtained for the HOMO-LUMO gap is 8.79 eV. The value obtained for the total energy is -38691.695 eV. Its LUMO energy is 0.121 eV.

Geometry as ORCA input:
```
! RIJCOSX wB97M-V def2-TZVPD def2/J DEFGRID3
* xyz 0 1
S -2.7266 -1.3577 -0.3992
C -1.5107 -0.5568 -1.1144
N -1.4242 0.8177 -1.1698
S 0.0111 1.4874 -1.7085
N 0.9308 1.2396 -0.1717
C 0.8440 -0.1459 0.3409
C 0.1065 -0.4463 1.4186
S -0.7064 0.6878 2.4770
H -0.6329 -0.9549 -1.4912
H -2.1687 1.4141 -0.9262
H 2.0076 1.4817 -0.2560
H 1.4037 -0.9946 -0.2546
H 0.0324 -1.4570 1.8835
H -0.4534 1.7157 1.8414
*
```

2.
C44H112N7O11 | wB97M-V/def2-TZVPD

Its max |F| is 3.4 eV/A. The calculation puts the HOMO energy at -17.788 eV. The value obtained for the HOMO-LUMO gap is 9.11 eV. The value obtained for the total energy is -80342.673 eV. Its LUMO energy is -8.682 eV.

Geometry as ORCA input:
```
! RIJCOSX wB97M-V def2-TZVPD def2/J DEFGRID3
* xyz 5 1
C 0.8289 2.7356 -3.8677
C 1.5524 3.9873 -4.1932
N 2.9211 4.2067 -3.7415
C 3.2139 5.6143 -4.1202
C 2.9510 4.2464 -2.2104
C 1.8841 4.9782 -1.4490
C 3.8569 3.1913 -4.2227
C 5.2648 3.1746 -3.5846
O 5.9371 4.3533 -3.8242
C 7.2748 4.4497 -3.2882
H 1.1864 1.8481 -4.3212
H -0.1247 2.8830 -4.3491
H 0.7087 2.5394 -2.7961
H 0.9780 4.8419 -3.8228
H 1.5463 4.0824 -5.2816
H 2.9292 5.6258 -5.1454
H 4.2553 5.8837 -3.9895
H 2.5011 6.2839 -3.6107
H 3.9379 4.6212 -1.9291
H 2.8477 3.2058 -1.9384
H 2.0209 6.0784 -1.4837
H 2.1405 4.6206 -0.4175
H 0.8029 4.7552 -1.4771
H 4.0109 3.4361 -5.2910
H 3.3120 2.2333 -4.2250
H 5.8268 2.3543 -4.0395
H 5.2033 2.9036 -2.5032
H 7.8936 3.5659 -3.4624
H 7.3364 4.7306 -2.2301
H 7.6903 5.2544 -3.8824
C 0.5420 -6.2328 0.6113
C -0.1253 -5.8644 -0.6769
N 0.5592 -4.7956 -1.5270
C 1.9795 -5.2728 -1.6773
C -0.0849 -4.6880 -2.8267
C -1.5480 -4.3270 -2.8082
C 0.4850 -3.5447 -0.7333
C 1.0035 -2.2428 -1.3313
O 2.3278 -2.4377 -1.6899
C 2.8669 -1.6415 -2.7489
H -0.0709 -7.0263 1.0673
H 0.5049 -5.3628 1.2815
H 1.5428 -6.5894 0.4985
H -1.0833 -5.4217 -0.4390
H -0.1811 -6.7505 -1.2914
H 2.3565 -4.7933 -2.5791
H 1.9315 -6.3290 -1.9234
H 2.5419 -5.0154 -0.7791
H 0.1653 -5.6354 -3.3415
H 0.3423 -3.8257 -3.3183
H -1.7202 -3.3068 -2.5049
H -2.2434 -4.9388 -2.2497
H -1.9285 -4.4761 -3.8308
H 0.9429 -3.7382 0.2355
H -0.5664 -3.2995 -0.6271
H 0.7840 -1.4963 -0.5458
H 0.4590 -1.9641 -2.2638
H 2.9996 -0.5846 -2.4305
H 2.2316 -1.6897 -3.6299
H 3.8671 -2.0125 -2.9492
C -5.9502 0.1433 -7.0857
C -6.1754 1.3654 -6.1526
N -5.3352 1.5843 -4.9656
C -3.9478 1.7068 -5.4665
C -5.7584 2.8000 -4.3061
C -7.1324 2.9510 -3.6151
C -5.4396 0.3272 -4.1102
C -4.8806 0.3761 -2.7432
O -3.4495 0.4186 -2.8654
C -2.8610 0.5773 -1.5725
H -6.1401 -0.8213 -6.6236
H -5.0050 0.0973 -7.6373
H -6.7131 0.2701 -7.8217
H -7.2326 1.3318 -5.8535
H -6.0213 2.3659 -6.6565
H -3.3586 1.8867 -4.5782
H -3.7801 2.5310 -6.1376
H -3.6263 0.7943 -5.9179
'''
The page goes on:

As Marvel navigates its Phase 4 and beyond, the lessons from the time jump’s impact are crucial. While complexities arise from past decisions, there’s potential for the MCU to recalibrate its storytelling approach and address lingering issues. By prioritizing world-building and honoring the franchise’s foundational elements, Marvel can regain narrative credibility and reinvigorate audience enthusiasm.

In conclusion, the legacy of Avengers: Endgame’s time jump remains a topic of debate within the MCU fandom. While it may have posed challenges for ongoing storytelling, it also demonstrated the franchise’s willingness to take risks and evolve. As Marvel charts its course through the Multiverse Saga and beyond, embracing the complexities of its past decisions could pave the way for a future that honors both continuity and creative innovation. Excelsior! 🌟

5 Years Later: Avengers Endgame’s Big Mistake